Tuesday 8 April, 2008

About my Library

Books are truly a great company. Everyone is approachable when they have have a nice book in their hands. Ive made lots of short but memorable conversations with strangers just because they were reading something that caught my eye or I was reading something that caught theirs!
For instance, on one of my 60 minute ride back home, my silent neighbour was reading Khaled Hosseini's "A Thousand Splendid Suns" I am yet to read that but have read and totally love "The Kite Runner". I waited patiently for her to put down the book or just look away for a minute to strike a conversation. You see, Im not a big fan of speaking to everyone who sits beside me, this lady was reading a book I plan on buying soon hence I was a wee bit curious!
She just didnt pull her eyes away, not even once...she read all the way till her stop and finally she asked me..."Will you be getting down too?" phew!
"No mam, the next one's mine. By the way, sorry for bothering, but how is the book?" she seemed happy I asked, and gave the obvious answer...
"Oh its lovely, its about this...woman"
"Oh really, Ive read the Kite Runner and its amazing, I plan on reading this next" "Oh have you? Im yet to read it"
well, our conversation went on about books;you get the picture right.

There was this other time, while waiting at the bus stop reading "Nicolai Gogol's short stories". The only other guy was this typical hooded high school/Freshman with an i-pod, playing LOUD rock. The bus came, I shut my book and as I was climbing, he pulled his ear plugs off, exclaimed..."Nicolai Gogol!man, I so rarely get to see people read Russian literature!I love all of his works, what do you think of it?" there was the start of another conversation and another interesting bus ride!

Ps; Once at an interview, "Shantaram by Gregory Davis Roberts" fell off my bag and that was one fun interview, well atleast they did feel bad they could not hire me!

So whats going to fall off your bag today?


Unknown said...

_Inserted here: molecular data_
'''
[1]
Formula: C29H54Br18FN2O2
Source: the OMol25 dataset
Level of theory: ωB97M-V/def2-TZVPD

```
106
Properties=species:S:1:pos:R:3:forces:R:3:lowdin_charge:R:1
H -2.2573 6.0415 -0.1024 -0.051 -0.036 0.000 0.064
C 9.9285 -4.9202 -1.8313 0.168 0.050 0.238 -0.691
H -0.3443 1.6181 1.2892 0.367 -0.381 0.136 0.090
C 2.9139 0.5703 0.5680 0.205 -0.711 0.189 -0.100
H -1.3550 -3.9065 -1.4452 0.050 -0.064 -0.009 0.033
C -8.3758 6.8071 -1.8417 -0.122 -0.070 0.204 -0.680
H -5.0155 -1.3113 -7.3676 -0.044 0.045 0.014 0.058
H -1.4332 5.1189 -1.3734 -0.070 -0.045 -0.020 0.053
H 10.4552 -4.4562 -3.8591 -0.008 -0.031 0.051 0.059
H -4.5041 5.1941 -1.1209 0.044 0.038 0.009 0.014
H 1.4296 -1.8569 0.7385 -0.330 0.453 0.199 0.120
H 11.2839 1.0462 -0.2696 -0.090 -0.004 -0.066 0.053
H -6.9856 0.1126 -7.4853 0.067 -0.039 -0.002 0.060
C 1.5076 1.1680 0.3262 0.512 0.214 -0.135 -0.144
Br -1.6563 -3.4594 5.5564 -0.092 -0.007 -0.109 0.602
H -9.3219 7.1587 -1.4340 0.009 -0.047 -0.024 0.060
C 1.0319 -4.2944 5.1048 0.404 -0.255 -0.114 -0.640
H -0.6831 -5.4403 4.4045 0.094 0.022 0.005 0.050
H 7.2641 0.2581 2.6749 0.002 -0.245 -0.451 0.076
C -3.5751 5.3714 -1.6568 -0.028 -0.065 -0.205 -0.680
H 0.9509 1.1760 2.4266 -0.163 -0.410 -0.258 0.133
Br 8.3113 -3.2810 -3.5318 0.025 -0.010 -0.022 0.572
H -3.6988 1.5332 0.9952 -0.099 -0.711 0.089 0.023
C -3.4309 0.4715 1.1226 0.377 -0.532 0.299 -0.195
H 8.2093 0.9905 -0.0818 0.091 0.010 0.075 0.025
Br 9.6084 -3.9863 -0.1529 -0.073 -0.032 -0.041 0.586
H -6.3943 -2.4143 -7.2076 -0.061 0.064 0.055 0.054
H -7.7933 7.6579 -2.1828 -0.007 -0.068 -0.042 0.051
C 0.0014 2.1266 5.1677 0.270 -0.203 0.080 -0.695
H 10.6672 -3.0901 -2.7471 -0.035 -0.048 0.083 0.041
C 9.1376 1.1789 -0.6139 0.154 0.068 -0.344 -0.683
H 7.5096 -1.1042 1.4574 -0.114 0.472 0.240 0.028
Br -3.6273 -4.8011 -1.9146 0.022 0.110 0.086 0.619
H 6.4282 -1.3241 2.8253 0.448 0.497 -0.033 0.080
Br -7.9315 1.9275 -2.6476 -0.124 -0.039 0.109 0.634
H -2.5052 -2.3883 2.0893 0.149 0.031 -0.022 0.183
Br -8.4956 -0.8795 -5.8070 0.163 0.035 0.068 0.619
H 9.1176 -5.6315 -1.9579 0.015 0.061 -0.068 0.049
H 10.3843 2.0023 0.9232 -0.028 -0.007 -0.040 0.060
C 10.0525 -3.9554 -2.9804 -0.123 -0.083 -0.224 -0.688
Br -6.3371 -0.7941 -0.7319 -0.122 -0.064 -0.065 0.652
C -6.0579 1.4488 -2.4920 -0.139 0.148 -0.173 -0.706
H -3.6023 6.3649 -2.1005 0.048 -0.004 0.059 0.068
C -8.6114 5.7820 -2.9186 0.034 0.071 -0.286 -0.690
H -0.3956 -5.5043 6.1526 0.023 0.052 0.002 0.066
C -0.3473 -4.8726 5.2678 -0.111 0.100 0.216 -0.670
H -6.3309 0.3538 -5.8544 0.040 -0.053 -0.031 0.042
N -0.0963 -0.4276 1.4743 -0.434 -1.252 -0.018 0.050
H 3.3963 0.3633 -0.4067 0.012 0.287 0.527 0.136
C 0.4326 -1.6732 1.1287 0.505 -0.679 -0.656 -0.113
H 5.9117 0.1688 0.2834 -0.669 0.162 0.343 0.122
H 2.8531 -0.4238 1.0568 -0.003 0.476 -0.232 0.096
H -1.6001 -6.9392 -1.9181 -0.058 0.078 0.027 0.056
H 9.0762 2.1437 -1.1147 0.036 0.004 0.064 0.060
H 1.7881 -5.0754 5.1664 -0.069 -0.022 0.016 0.065
H -6.4726 -0.5617 -3.2078 -0.054 0.062 0.072 -0.019
'''
_The piece goes on_

Very true abt books getting you to strike a conversation with a stranger :) like now when i am tempted to leave a comment - i wouldnt usually :)

what else do you have in that library ?

Anonymous said...

I have both of Khaled Hosseini's books, The curious incident of the dog......and many more I cant remember :-)

Unknown said...

..and many more i cant remember: happens all the time...and the wife wont let me get in any more books until i refresh my memory or read'em all up :) happens ?

...happy new year to you ! so who's pali..here did that come from ? i know its the last 2 letters in ships (not in that specific order but...curious..) !!

Anonymous said...

My hubby is a little different, he pampers me with things that are worth pampering me with....he knows what gets me clicking a little too well!
Pali is what my close friends call me....well, thts one story I have to post. Do you have a blog too?

Unknown said...

oops...didnt mean it to ound that way when i asked 'happens?' :) i get the pampering and do dole out the works too but thats another topic all by itself...

i wud surely like to hear the plai part of the story :) so go on...cmonit doest have to be ablog..u can write it hear too..(by the way, whats ur gmail id..so i dont cluter the msg here)...

and i dont have a blog..not yet at least but am tempted to write ! maybe i shud just do it !?

Unknown said...

oh and those switzerland pics on ur other post were awesome !